Data:
=====
This entry pairs a crystal structure of NdHo2Ir with its simulated powder XRD pattern. Radiation: Cu Kα, 1.54184 Å. Structure: the GGA-PBE geometry in Alexandria.

Largest 10 diffraction maxima, in order of rising 2θ, 10° ≤ 2θ ≤ 90°:
d (Å), Rel. int.
3.005, 23
2.874, 32
2.813, 100
2.623, 95
2.497, 30
2.369, 34
2.339, 28
2.274, 24
1.722, 25
1.611, 19

Atomic structure:
Lattice parameters (Å, degrees): 7.287 9.356 6.458 90.00 90.00 90.00
Sites, in units of the cell vectors:
Nd: 0.034 0.250 0.133
Nd: 0.466 0.750 0.633
Nd: 0.534 0.250 0.367
Nd: 0.966 0.750 0.867
Ho: 0.175 0.065 0.669
Ho: 0.175 0.435 0.669
Ho: 0.325 0.565 0.169
Ho: 0.325 0.935 0.169
Ho: 0.675 0.065 0.831
Ho: 0.675 0.435 0.831
Ho: 0.825 0.565 0.331
Ho: 0.825 0.935 0.331
Ir: 0.118 0.750 0.434
Ir: 0.382 0.250 0.934
Ir: 0.618 0.750 0.066
Ir: 0.882 0.250 0.566

This entry pairs a crystal structure of Co3Se3Cl with its simulated powder XRD pattern. Radiation: Cu Kα, 1.54184 Å. Structure: the GGA-PBE geometry in Alexandria.

Largest 10 diffraction maxima, in order of rising 2θ, 10° ≤ 2θ ≤ 90°:
d (Å), Rel. int.
7.109, 58
4.104, 26
3.554, 100
2.853, 10
2.392, 47
2.123, 11
2.055, 25
2.050, 51
1.984, 37
1.557, 60

Atomic structure:
Lattice parameters (Å, degrees): 8.202 8.202 4.784 90.00 90.00 119.84
Sites, in units of the cell vectors:
Co: 0.169 0.340 0.750
Co: 0.170 0.830 0.750
Co: 0.340 0.169 0.250
Co: 0.660 0.831 0.750
Co: 0.830 0.170 0.250
Co: 0.831 0.660 0.250
Se: 0.150 0.300 0.250
Se: 0.150 0.850 0.250
Se: 0.300 0.150 0.750
Se: 0.700 0.850 0.250
Se: 0.850 0.150 0.750
Se: 0.850 0.700 0.750
Cl: 0.334 0.666 0.750
Cl: 0.666 0.334 0.250

This entry pairs a crystal structure of Nd3Zn3Cu with its simulated powder XRD pattern. Radiation: Cu Kα, 1.54184 Å. Structure: the GGA-PBE geometry in Alexandria.

Largest 10 diffraction maxima, in order of rising 2θ, 10° ≤ 2θ ≤ 90°:
d (Å), Rel. int.
3.732, 28
2.736, 100
2.688, 62
2.468, 26
2.397, 46
2.263, 34
1.832, 18
1.731, 33
1.455, 19
1.424, 15

Atomic structure:
Lattice parameters (Å, degrees): 10.313 10.313 10.313 159.54 154.65 32.79
Sites, in units of the cell vectors:
Nd: 0.000 0.000 0.000
Nd: 0.379 0.379 0.000
Nd: 0.695 0.195 0.500
Zn: 0.128 0.628 0.500
Zn: 0.555 0.555 0.000
Zn: 0.827 0.827 0.000
Cu: 0.257 0.757 0.500

This entry pairs a crystal structure of ScBe8Rh3 with its simulated powder XRD pattern. Radiation: Cu Kα, 1.54184 Å. Structure: the GGA-PBE geometry in Alexandria.

Largest 10 diffraction maxima, in order of rising 2θ, 10° ≤ 2θ ≤ 90°:
d (Å), Rel. int.
3.824, 86
3.642, 42
3.386, 72
2.637, 41
2.208, 87
2.050, 100
1.888, 58
1.849, 21
1.502, 27
1.242, 37

Atomic structure:
Lattice parameters (Å, degrees): 4.416 4.416 7.284 90.00 90.00 120.00
Sites, in units of the cell vectors:
Sc: 0.000 0.000 0.000
Be: 0.166 0.332 0.674
Be: 0.166 0.834 0.674
Be: 0.333 0.667 0.437
Be: 0.333 0.667 0.931
Be: 0.503 0.006 0.203
Be: 0.503 0.497 0.203
Be: 0.668 0.834 0.674
Be: 0.994 0.497 0.203
Rh: 0.000 0.000 0.362
Rh: 0.667 0.333 0.506
Rh: 0.667 0.333 0.879

This entry pairs a crystal structure of Li2HoMg10 with its simulated powder XRD pattern. Radiation: Cu Kα, 1.54184 Å. Structure: the GGA-PBE geometry in Alexandria.

Largest 10 diffraction maxima, in order of rising 2θ, 10° ≤ 2θ ≤ 90°:
d (Å), Rel. int.
7.259, 94
5.129, 51
4.938, 66
3.567, 37
3.552, 60
3.242, 48
2.928, 40
2.918, 40
2.564, 45
2.537, 100

Atomic structure:
Lattice parameters (Å, degrees): 5.634 7.765 7.776 82.56 69.08 68.86
Sites, in units of the cell vectors:
Li: 0.000 0.000 0.000
Li: 0.500 0.000 0.000
Ho: 0.000 0.000 0.500
Mg: 0.000 0.500 0.500
Mg: 0.007 0.342 0.143
Mg: 0.288 0.206 0.717
Mg: 0.349 0.657 0.143
Mg: 0.496 0.794 0.717
Mg: 0.500 0.500 0.500
Mg: 0.504 0.206 0.283
Mg: 0.651 0.343 0.857
Mg: 0.712 0.794 0.283
Mg: 0.993 0.658 0.857

This entry pairs a crystal structure of NaLa2ScSe4 with its simulated powder XRD pattern. Radiation: Cu Kα, 1.54184 Å. Structure: the GGA-PBE geometry in Alexandria.
=====
Assignment:
What is needed: repeat everything further up word for word.
Completed:
This entry pairs a crystal structure of NdHo2Ir with its simulated powder XRD pattern. Radiation: Cu Kα, 1.54184 Å. Structure: the GGA-PBE geometry in Alexandria.

Largest 10 diffraction maxima, in order of rising 2θ, 10° ≤ 2θ ≤ 90°:
d (Å), Rel. int.
3.005, 23
2.874, 32
2.813, 100
2.623, 95
2.497, 30
2.369, 34
2.339, 28
2.274, 24
1.722, 25
1.611, 19

Atomic structure:
Lattice parameters (Å, degrees): 7.287 9.356 6.458 90.00 90.00 90.00
Sites, in units of the cell vectors:
Nd: 0.034 0.250 0.133
Nd: 0.466 0.750 0.633
Nd: 0.534 0.250 0.367
Nd: 0.966 0.750 0.867
Ho: 0.175 0.065 0.669
Ho: 0.175 0.435 0.669
Ho: 0.325 0.565 0.169
Ho: 0.325 0.935 0.169
Ho: 0.675 0.065 0.831
Ho: 0.675 0.435 0.831
Ho: 0.825 0.565 0.331
Ho: 0.825 0.935 0.331
Ir: 0.118 0.750 0.434
Ir: 0.382 0.250 0.934
Ir: 0.618 0.750 0.066
Ir: 0.882 0.250 0.566

This entry pairs a crystal structure of Co3Se3Cl with its simulated powder XRD pattern. Radiation: Cu Kα, 1.54184 Å. Structure: the GGA-PBE geometry in Alexandria.

Largest 10 diffraction maxima, in order of rising 2θ, 10° ≤ 2θ ≤ 90°:
d (Å), Rel. int.
7.109, 58
4.104, 26
3.554, 100
2.853, 10
2.392, 47
2.123, 11
2.055, 25
2.050, 51
1.984, 37
1.557, 60

Atomic structure:
Lattice parameters (Å, degrees): 8.202 8.202 4.784 90.00 90.00 119.84
Sites, in units of the cell vectors:
Co: 0.169 0.340 0.750
Co: 0.170 0.830 0.750
Co: 0.340 0.169 0.250
Co: 0.660 0.831 0.750
Co: 0.830 0.170 0.250
Co: 0.831 0.660 0.250
Se: 0.150 0.300 0.250
Se: 0.150 0.850 0.250
Se: 0.300 0.150 0.750
Se: 0.700 0.850 0.250
Se: 0.850 0.150 0.750
Se: 0.850 0.700 0.750
Cl: 0.334 0.666 0.750
Cl: 0.666 0.334 0.250

This entry pairs a crystal structure of Nd3Zn3Cu with its simulated powder XRD pattern. Radiation: Cu Kα, 1.54184 Å. Structure: the GGA-PBE geometry in Alexandria.

Largest 10 diffraction maxima, in order of rising 2θ, 10° ≤ 2θ ≤ 90°:
d (Å), Rel. int.
3.732, 28
2.736, 100
2.688, 62
2.468, 26
2.397, 46
2.263, 34
1.832, 18
1.731, 33
1.455, 19
1.424, 15

Atomic structure:
Lattice parameters (Å, degrees): 10.313 10.313 10.313 159.54 154.65 32.79
Sites, in units of the cell vectors:
Nd: 0.000 0.000 0.000
Nd: 0.379 0.379 0.000
Nd: 0.695 0.195 0.500
Zn: 0.128 0.628 0.500
Zn: 0.555 0.555 0.000
Zn: 0.827 0.827 0.000
Cu: 0.257 0.757 0.500

This entry pairs a crystal structure of ScBe8Rh3 with its simulated powder XRD pattern. Radiation: Cu Kα, 1.54184 Å. Structure: the GGA-PBE geometry in Alexandria.

Largest 10 diffraction maxima, in order of rising 2θ, 10° ≤ 2θ ≤ 90°:
d (Å), Rel. int.
3.824, 86
3.642, 42
3.386, 72
2.637, 41
2.208, 87
2.050, 100
1.888, 58
1.849, 21
1.502, 27
1.242, 37

Atomic structure:
Lattice parameters (Å, degrees): 4.416 4.416 7.284 90.00 90.00 120.00
Sites, in units of the cell vectors:
Sc: 0.000 0.000 0.000
Be: 0.166 0.332 0.674
Be: 0.166 0.834 0.674
Be: 0.333 0.667 0.437
Be: 0.333 0.667 0.931
Be: 0.503 0.006 0.203
Be: 0.503 0.497 0.203
Be: 0.668 0.834 0.674
Be: 0.994 0.497 0.203
Rh: 0.000 0.000 0.362
Rh: 0.667 0.333 0.506
Rh: 0.667 0.333 0.879

This entry pairs a crystal structure of Li2HoMg10 with its simulated powder XRD pattern. Radiation: Cu Kα, 1.54184 Å. Structure: the GGA-PBE geometry in Alexandria.

Largest 10 diffraction maxima, in order of rising 2θ, 10° ≤ 2θ ≤ 90°:
d (Å), Rel. int.
7.259, 94
5.129, 51
4.938, 66
3.567, 37
3.552, 60
3.242, 48
2.928, 40
2.918, 40
2.564, 45
2.537, 100

Atomic structure:
Lattice parameters (Å, degrees): 5.634 7.765 7.776 82.56 69.08 68.86
Sites, in units of the cell vectors:
Li: 0.000 0.000 0.000
Li: 0.500 0.000 0.000
Ho: 0.000 0.000 0.500
Mg: 0.000 0.500 0.500
Mg: 0.007 0.342 0.143
Mg: 0.288 0.206 0.717
Mg: 0.349 0.657 0.143
Mg: 0.496 0.794 0.717
Mg: 0.500 0.500 0.500
Mg: 0.504 0.206 0.283
Mg: 0.651 0.343 0.857
Mg: 0.712 0.794 0.283
Mg: 0.993 0.658 0.857

This entry pairs a crystal structure of NaLa2ScSe4 with its simulated powder XRD pattern. Radiation: Cu Kα, 1.54184 Å. Structure: the GGA-PBE geometry in Alexandria.